[Job]
It remains to retype the entries further down from the line with "(eV/atom)" to the end character by character.

[Listing]
~~~
Tm4MgRh | meta-GGA r2SCAN | relaxed

- calculated volume (Å³ per cell) = 2456.3
- crystal system = cubic
- VASP energy (eV/atom) = -28.5771
- mass density (g/cm³) = 8.7

```
data_Tm4MgRh
_chemical_formula_sum 'Tm64 Mg16 Rh16'
_symmetry_space_group_name_H-M 'F -4 3 m'
_symmetry_Int_Tables_number 216
_symmetry_space_group_name_Hall 'F -4 2 3'
_cell_length_a 13.4926
_cell_length_b 13.4926
_cell_length_c 13.4926
_cell_angle_alpha 90.00
_cell_angle_beta 90.00
_cell_angle_gamma 90.00
loop_
_atom_site_label
_atom_site_type_symbol
_atom_site_fract_x
_atom_site_fract_y
_atom_site_fract_z
Tm1 Tm 0.0000 0.0000 0.1856
Tm2 Tm 0.0625 0.2500 0.7500
Tm3 Tm 0.0957 0.0957 0.4043
Mg1 Mg 0.1710 0.1710 0.1710
Rh1 Rh 0.1087 0.1087 0.6087
```
~~~

[Result]
- VASP energy (eV/atom) = -28.5771
- mass density (g/cm³) = 8.7

```
data_Tm4MgRh
_chemical_formula_sum 'Tm64 Mg16 Rh16'
_symmetry_space_group_name_H-M 'F -4 3 m'
_symmetry_Int_Tables_number 216
_symmetry_space_group_name_Hall 'F -4 2 3'
_cell_length_a 13.4926
_cell_length_b 13.4926
_cell_length_c 13.4926
_cell_angle_alpha 90.00
_cell_angle_beta 90.00
_cell_angle_gamma 90.00
loop_
_atom_site_label
_atom_site_type_symbol
_atom_site_fract_x
_atom_site_fract_y
_atom_site_fract_z
Tm1 Tm 0.0000 0.0000 0.1856
Tm2 Tm 0.0625 0.2500 0.7500
Tm3 Tm 0.0957 0.0957 0.4043
Mg1 Mg 0.1710 0.1710 0.1710
Rh1 Rh 0.1087 0.1087 0.6087
```